Understanding Autorotation

The first step in learning about autorotation is to understand that rotor blades are rotary wings. We can all imagine an airplane flying without a motor (glider), but it's a bit more difficult to visualize a helicopter doing the same. By recognizing that each blade is a wing that acts like the wing of a glider, autorotation is more comprehensible. The blade element diagram can be used to understand the forces acting on the blade during an autorotation.

Blade Element Diagram
Normal Powered Flight

In May's edition of RC Heli, we defined the components of the blade element diagram and how they work during normal flight: The blade sees a combination of rotational flow (1) and downward induced flow (2) called relative wind (3). The angle of attack (4) is the angle formed between the relative wind and the chord line, and the pitch angle (5) is formed between the rotor plane and the chord line. Lift (6) is the total aerodynamic force perpendicular to the relative wind. For a helicopter in hovering flight, the lift vector is tilted aft. The lift vector can be broken into two components: a vertical component (7), which is the total force that generates vertical lift, and the rearward component called the induced drag (8), formed by the acceleration of air mass (downwash) and the energy spent in the creation of trailing vortices. Induced drag must be overcome to develop lift, and power is required to the rotor system to overcome this drag. The remaining vector on the blade element diagram is profile drag (9), a result of air friction acting on the blade element.

Blade Element Diagram

Misplaced data records:
Below is a relaxed TlCr2AgF crystal, with properties calculated at the PBE+U level.

Cell: 5.489 5.489 4.638 Å, 90.00 90.00 90.00°
Fractional coordinates of all 5 atoms:
Tl 0.000 0.000 0.000
Cr 0.000 0.500 0.000
Cr 0.500 0.000 0.000
Ag 0.500 0.500 0.500
F 0.000 0.000 0.500

Values from the calculation:
Uncorrected energy in eV/atom: -4.031
Symmetry: P4/mmm

~~~~~

[1]
This record from Alexandria via LeMat-Bulk describes an optimized crystal structure of Cr2FeBi. The functional is PBE.

Calculated values
Offset from the most stable computed form: 2.854 eV per formula unit
Mass density: 7.5 g cm⁻³
E_form: 1.395 eV/atom
Space-group type: I-42d

extended XYZ file:
```
16
Lattice="5.510 0.000 0.000 0.000 5.510 0.000 0.000 0.000 10.790" Properties=species:S:1:pos:R:3 pbc="T T T"
Cr 0.904 1.378 1.349
Cr 1.378 3.659 4.046
Cr 1.378 4.606 9.441
Cr 1.851 1.378 6.744
Cr 3.659 4.133 6.744
Cr 4.133 0.904 9.441
Cr 4.133 1.851 4.046
Cr 4.606 4.133 1.349
Fe 0.000 0.000 0.000
Fe 0.000 2.755 2.697
Fe 2.755 0.000 8.092
Fe 2.755 2.755 5.395
Bi 0.000 0.000 5.395
Bi 0.000 2.755 8.092
Bi 2.755 0.000 2.697
Bi 2.755 2.755 0.000
```

[2]
This record from Alexandria via LeMat-Bulk describes an optimized crystal structure of Cr2FeBi. The functional is PBE.

Calculated values
Offset from the most stable computed form: 0.000 eV per formula unit
Mass density: 10.3 g cm⁻³
E_form: 0.681 eV/atom
Space-group type: Fm-3m

extended XYZ file:
```
16
Lattice="6.201 0.000 0.000 0.000 6.201 0.000 0.000 0.000 6.201" Properties=species:S:1:pos:R:3 pbc="T T T"
Cr 1.550 1.550 1.550
Cr 1.550 1.550 4.651
Cr 1.550 4.651 1.550
Cr 1.550 4.651 4.651
Cr 4.651 1.550 1.550
Cr 4.651 1.550 4.651
Cr 4.651 4.651 1.550
Cr 4.651 4.651 4.651
Fe 0.000 0.000 0.000
Fe 0.000 3.101 3.101
Fe 3.101 0.000 3.101
Fe 3.101 3.101 0.000
Bi 0.000 0.000 3.101
Bi 0.000 3.101 0.000
Bi 3.101 0.000 0.000
Bi 3.101 3.101 3.101
```

[3]
This record from Alexandria via LeMat-Bulk describes an optimized crystal structure of Cr3FeBi. The functional is PBE.

Calculated values
Offset from the most stable computed form: 5.354 eV per formula unit
Mass density: 4.9 g cm⁻³
E_form: 1.973 eV/atom
Space-group type: Pm-3m

extended XYZ file:
```
5
Lattice="5.220 0.000 0.000 0.000 5.220 0.000 0.000 0.000 5.220" Properties=species:S:1:pos:R:3 pbc="T T T"
Cr 0.000 0.000 2.610
Cr 0.000 2.610 0.000
Cr 2.610 0.000 0.000
Fe 2.610 2.610 2.610
Bi 0.000 0.000 0.000
```

[4]
This record from Alexandria via LeMat-Bulk describes an optimized crystal structure of CrFe3Bi. The functional is PBE.

Calculated values
Offset from the most stable computed form: 0.000 eV per formula unit
Mass density: 8.5 g cm⁻³
E_form: 1.024 eV/atom
Space-group type: Pm-3m

extended XYZ file:
```
5
Lattice="4.375 0.000 0.000 0.000 4.375 0.000 0.000 0.000 4.375" Properties=species:S:1:pos:R:3 pbc="T T T"
Cr 0.000 0.000 0.000
Fe 0.000 0.000 2.188
Fe 0.000 2.188 0.000
Fe 2.188 0.000 0.000
Bi 2.188 2.188 2.188
```

[5]
Back to the piece:

To keep the blades turning during normal flight induced drag must be overcome by engine power. During an autorotation, the power that turns the rotors comes from another source-potential energy (gravity), as the helicopter loses altitude. The rotor head will initially slow down, feeding on its own rotor inertia. Lowering collective will stop the decay. The increasing up flow of air through the rotor system reverses airflow. With
the lift vector always perpendicular to the relative wind, induced drag reverses and the lift vector is tilted forward providing a Pro-Autorotative force that turns the rotor head. A component of profile drag (In-Plane Drag) acts in opposite direction to the Pro-Autorotative force.

The Autorotative Regions of the Blade

As the rotor blades travel around the arc, each part of the blade sees a different relative wind--from lowest velocity at the hub, to highest velocity at the rotor tip. This is because the rotor tip has to travel farther in the same period of time as the part of the blade near the hub. During an autorotation the rotor blade sees three different regions: prop, auto, and stall region.

Auto Region • Rotational speed combines with induced flow, shifting the relative wind below the rotor plane. Notice that the lift vector is tilted forward, providing a pro-autorotative force. This region is increased and shifted toward the blade tip at higher pitch settings, decreasing rotor rpm and slowing the sink rate.

Prop Region • Relatively high rotational speed at the outer portion of the rotor disk combines with induced flow, shifting the relative wind towards the horizontal. Notice the lift vector is tilted more vertical than forward, providing less pro-autorotative driving force. In this region, the profile drag is the largest and causes greater anti-autorotative force. This region is increased with lower pitch settings and higher rpms, thus reducing the auto region, resulting in a faster sink rate.

Stall Region • The stall region is at the blade root, where rotational flow is reduced to the point where lift is not generated and profile drag dominates. As pitch angle is increased, rotor rpms are reduced and the stall region increases across the blade, reducing the auto region and prop region.

Putting it
all together
As blade pitch and rpm changes, the three regions change across the blade. It is very important that during an autorotation, pitch angle and rpm are controlled for the most practical use of the blade regions.

Autorotation Entry
When the motor decides to quit at the most inconvenient time, the lift vector is pointed aft, quickly slowing the rotor head without the motor to overcome the induced drag. The pilot quickly lowers the collective to decrease the stall region on the blade.

During the descent, the pilot starts to control the pitch of the blades in order to adjust the amount of prop and auto region. If the pilot wants more lift, he adds collective, slowing the rotor head and increasing lift. For a higher sink rate, the pilot decreases pitch, increasing rotor rpm. This balancing act is optimized in order to find a suitable rate of descent that will get the pilot to the desired landing point.

(Between two parts of the page: data records)
-- begin --
Record 1
Computed, not measured: a PBEsol-optimized structure of Tm3Sb5O12 at the meta-GGA SCAN level of DFT.

Raw formation energy (eV per atom): -2.448
Final energy (eV/atom): -23.28

The structure in POSCAR format:
```
Tm3Sb5O12
1.0
-5.302 5.302 5.302
5.302 -5.302 5.302
5.302 5.302 -5.302
Tm Sb O
6 10 24
Cartesian
5.302 2.651 0.000 Tm
5.302 0.000 2.651 Tm
2.651 5.302 0.000 Tm
2.651 0.000 5.302 Tm
0.000 5.302 2.651 Tm
0.000 2.651 5.302 Tm
2.534 2.534 -2.534 Sb
2.964 0.000 0.000 Sb
2.534 -2.534 2.534 Sb
7.639 0.000 0.000 Sb
0.000 2.964 0.000 Sb
0.000 0.000 2.964 Sb
-2.534 2.534 2.534 Sb
2.767 2.767 2.767 Sb
0.000 7.639 0.000 Sb
0.000 0.000 7.639 Sb
4.204 1.091 -1.091 O
4.204 -1.091 1.091 O
6.969 1.473 -1.473 O
6.969 -1.473 1.473 O
3.829 3.829 -1.668 O
3.829 -1.668 3.829 O
6.399 1.091 1.091 O
3.634 1.473 1.473 O
1.091 4.204 -1.091 O
1.091 -1.091 4.204 O
1.473 3.634 1.473 O
1.473 1.473 3.634 O
-1.091 4.204 1.091 O
-1.091 1.091 4.204 O
4.211 4.211 1.097 O
4.211 1.097 4.211 O
1.473 6.969 -1.473 O
1.473 -1.473 6.969 O
1.091 6.399 1.091 O
1.091 1.091 6.399 O
-1.668 3.829 3.829 O
1.097 4.211 4.211 O
-1.473 6.969 1.473 O
-1.473 1.473 6.969 O
```

=====

Record 2
Computed, not measured: a PBEsol-optimized structure of Tm2Sb2O7 at the meta-GGA SCAN level of DFT.

Raw formation energy (eV per atom): -2.607
Final energy (eV/atom): -22.77

The structure in POSCAR format:
```
Tm2Sb2O7
1.0
7.395 0.000 0.000
-3.697 6.404 0.000
0.000 0.000 18.153
Tm Sb O
12 12 42
Cartesian
-3.086 5.344 3.025 Tm
-3.089 5.350 12.102 Tm
0.609 1.055 0.000 Tm
0.612 1.060 9.076 Tm
-1.204 4.374 0.214 Tm
0.512 3.174 6.265 Tm
2.493 2.030 11.888 Tm
0.693 5.260 12.316 Tm
4.390 1.144 17.939 Tm
4.209 3.230 5.837 Tm
6.177 0.000 6.051 Tm
6.171 0.000 15.127 Tm
-1.142 1.978 12.102 Sb
-1.203 2.084 3.025 Sb
-1.234 4.276 9.094 Sb
2.284 0.000 6.051 Sb
2.406 0.000 15.127 Sb
0.611 3.198 15.145 Sb
2.464 2.128 3.008 Sb
0.622 5.335 3.043 Sb
4.320 1.069 9.059 Sb
2.494 4.320 9.076 Sb
2.556 4.426 0.000 Sb
4.309 3.206 15.110 Sb
-1.179 2.136 5.271 O
-2.929 5.212 9.623 O
-3.018 5.461 5.160 O
-1.234 2.817 14.589 O
-1.646 4.194 7.134 O
0.477 1.061 11.211 O
0.680 0.943 6.942 O
0.648 1.262 15.674 O
0.768 1.192 2.479 O
-1.064 4.387 2.507 O
-0.808 4.441 11.012 O
0.256 3.484 17.063 O
0.430 3.289 8.558 O
-1.259 6.357 17.373 O
2.439 0.047 12.881 O
0.888 2.882 13.185 O
-0.641 6.064 8.538 O
3.056 0.340 3.564 O
2.052 2.210 4.968 O
0.552 4.884 4.961 O
0.634 5.132 14.609 O
2.634 2.017 9.594 O
2.889 1.964 1.089 O
0.758 5.732 1.083 O
1.875 3.927 2.487 O
2.464 3.587 15.666 O
4.455 0.672 11.018 O
2.437 4.315 11.322 O
2.519 4.269 6.831 O
4.332 1.272 15.645 O
4.250 1.521 7.140 O
3.953 2.920 13.191 O
4.127 3.115 3.544 O
2.281 6.335 3.572 O
-- stop --

Getting close to the ground, the pilot trades airspeed for rotor head power by flaring, increasing the reversed induced flow through the rotor head, increasing the lift vector, and tilting it more forward, causing a higher rotor rpm.

As airspeed is traded, the helicopter starts to settle. At this point the pilot trades energy from rotor inertia into greater lift. Hopefully the pilot didn't go too deeply into the bank account of rotor energy. Before the blades stall, the helicopter should settle safely on the ground.

I hope this took some of the mystery out of autorotation. By adjusting pitch you control the direction and magnitude of the relative wind, lift vector, and pro-autorotative force. Proper collective management through the decent, flare, and touch down will save you from buying a new set of skids and will result in a magnificent crowd-pleasing auto.